'''
Model w:
First-principles (GGA-PBE) data for a relaxed LiCeAs2 crystal, as listed in the Alexandria database.

a b c (Å): 4.6340 4.6340 3.8472
angles (deg): 90.00 90.00 90.00
Fractional coordinates of all 4 atoms:
Li  0.0000  0.0000  0.0000
Ce  0.5000  0.5000  0.0000
As  0.0000  0.5000  0.5000
As  0.5000  0.0000  0.5000

Values from the calculation:
Fermi-level density of states	3.05	states/eV/f.u.
size of the total moment	0.00	μB/f.u.

Model x:
First-principles (GGA-PBE) data for a relaxed LiCeAs2 crystal, as listed in the Alexandria database.

a b c (Å): 6.4492 6.4492 6.4492
angles (deg): 38.17 38.17 38.17
Fractional coordinates of all 4 atoms:
Li  0.0000  0.0000  0.0000
Ce  0.1812  0.1812  0.1812
As  0.6063  0.6063  0.6063
As  0.7533  0.7533  0.7533

Values from the calculation:
Fermi-level density of states	3.11	states/eV/f.u.
size of the total moment	0.33	μB/f.u.

Tell me which of them is the most stable. Sure, it is model w.

Model w:
First-principles (GGA-PBE) data for a relaxed Ce2MgAs crystal, as listed in the Alexandria database.

a b c (Å): 10.8780 10.8780 10.8780
angles (deg): 19.97 19.97 19.97
Fractional coordinates of all 4 atoms:
Ce  0.1088  0.1088  0.1088
Ce  0.8912  0.8912  0.8912
Mg  0.0000  0.0000  0.0000
As  0.5000  0.5000  0.5000

Values from the calculation:
Fermi-level density of states	12.45	states/eV/f.u.
size of the total moment	2.62	μB/f.u.

Model x:
First-principles (GGA-PBE) data for a relaxed Ce2MgAs crystal, as listed in the Alexandria database.

a b c (Å): 3.9291 3.9291 6.6233
angles (deg): 90.00 90.00 90.00
Fractional coordinates of all 4 atoms:
Ce  0.0000  0.0000  0.2064
Ce  0.0000  0.0000  0.7936
Mg  0.5000  0.5000  0.5000
As  0.5000  0.5000  0.0000

Values from the calculation:
Fermi-level density of states	8.12	states/eV/f.u.
size of the total moment	1.97	μB/f.u.

Tell me which of them is the most stable. Sure, it is model x.

Model w:
First-principles (GGA-PBE) data for a relaxed CeAsN crystal, as listed in the Alexandria database.

a b c (Å): 6.2918 6.2918 6.2918
angles (deg): 150.62 150.62 42.03
Fractional coordinates of all 3 atoms:
Ce  0.0000  0.0000  0.0000
As  0.2787  0.2787  0.0000
N  0.5475  0.5475  0.0000

Values from the calculation:
Fermi-level density of states	2.04	states/eV/f.u.
size of the total moment	0.00	μB/f.u.

Model x:
First-principles (GGA-PBE) data for a relaxed CeAsN crystal, as listed in the Alexandria database.

a b c (Å): 4.0642 3.9265 7.4553
angles (deg): 90.00 92.81 90.00
Fractional coordinates of all 6 atoms:
Ce  0.2394  0.2500  0.3510
Ce  0.7606  0.7500  0.6490
As  0.3220  0.2500  0.9441
As  0.6780  0.7500  0.0559
N  0.2505  0.7500  0.5062
N  0.7495  0.2500  0.4938

Values from the calculation:
size of the total moment	0.00	μB/f.u.

Tell me which of them is the most stable. Sure, it is model x.

Model w:
First-principles (GGA-PBE) data for a relaxed NaCeAs2 crystal, as listed in the Alexandria database.

a b c (Å): 6.8030 6.8030 6.8030
angles (deg): 37.46 37.46 37.46
Fractional coordinates of all 4 atoms:
Na  0.0000  0.0000  0.0000
Ce  0.1769  0.1769  0.1769
As  0.5895  0.5895  0.5895
As  0.7609  0.7609  0.7609

Values from the calculation:
Fermi-level density of states	3.48	states/eV/f.u.
size of the total moment	0.00	μB/f.u.

Model x:
First-principles (GGA-PBE) data for a relaxed NaCeAs2 crystal, as listed in the Alexandria database.

a b c (Å): 6.7573 6.7573 6.7573
angles (deg): 38.22 38.22 38.22
Fractional coordinates of all 4 atoms:
Na  0.0000  0.0000  0.0000
Ce  0.5000  0.5000  0.5000
As  0.2406  0.2406  0.2406
As  0.7594  0.7594  0.7594

Values from the calculation:
Fermi-level density of states	5.30	states/eV/f.u.
size of the total moment	0.00	μB/f.u.

Tell me which of them is the most stable. Sure, it is model x.

Model w:
First-principles (GGA-PBE) data for a relaxed CeNdAs2 crystal, as listed in the Alexandria database.

a b c (Å): 4.2267 4.2267 13.9226
angles (deg): 90.00 90.00 120.00
Fractional coordinates of all 8 atoms:
'''

The reader should give back everything further above word for word.

Model w:
First-principles (GGA-PBE) data for a relaxed LiCeAs2 crystal, as listed in the Alexandria database.

a b c (Å): 4.6340 4.6340 3.8472
angles (deg): 90.00 90.00 90.00
Fractional coordinates of all 4 atoms:
Li  0.0000  0.0000  0.0000
Ce  0.5000  0.5000  0.0000
As  0.0000  0.5000  0.5000
As  0.5000  0.0000  0.5000

Values from the calculation:
Fermi-level density of states	3.05	states/eV/f.u.
size of the total moment	0.00	μB/f.u.

Model x:
First-principles (GGA-PBE) data for a relaxed LiCeAs2 crystal, as listed in the Alexandria database.

a b c (Å): 6.4492 6.4492 6.4492
angles (deg): 38.17 38.17 38.17
Fractional coordinates of all 4 atoms:
Li  0.0000  0.0000  0.0000
Ce  0.1812  0.1812  0.1812
As  0.6063  0.6063  0.6063
As  0.7533  0.7533  0.7533

Values from the calculation:
Fermi-level density of states	3.11	states/eV/f.u.
size of the total moment	0.33	μB/f.u.

Tell me which of them is the most stable. Sure, it is model w.

Model w:
First-principles (GGA-PBE) data for a relaxed Ce2MgAs crystal, as listed in the Alexandria database.

a b c (Å): 10.8780 10.8780 10.8780
angles (deg): 19.97 19.97 19.97
Fractional coordinates of all 4 atoms:
Ce  0.1088  0.1088  0.1088
Ce  0.8912  0.8912  0.8912
Mg  0.0000  0.0000  0.0000
As  0.5000  0.5000  0.5000

Values from the calculation:
Fermi-level density of states	12.45	states/eV/f.u.
size of the total moment	2.62	μB/f.u.

Model x:
First-principles (GGA-PBE) data for a relaxed Ce2MgAs crystal, as listed in the Alexandria database.

a b c (Å): 3.9291 3.9291 6.6233
angles (deg): 90.00 90.00 90.00
Fractional coordinates of all 4 atoms:
Ce  0.0000  0.0000  0.2064
Ce  0.0000  0.0000  0.7936
Mg  0.5000  0.5000  0.5000
As  0.5000  0.5000  0.0000

Values from the calculation:
Fermi-level density of states	8.12	states/eV/f.u.
size of the total moment	1.97	μB/f.u.

Tell me which of them is the most stable. Sure, it is model x.

Model w:
First-principles (GGA-PBE) data for a relaxed CeAsN crystal, as listed in the Alexandria database.

a b c (Å): 6.2918 6.2918 6.2918
angles (deg): 150.62 150.62 42.03
Fractional coordinates of all 3 atoms:
Ce  0.0000  0.0000  0.0000
As  0.2787  0.2787  0.0000
N  0.5475  0.5475  0.0000

Values from the calculation:
Fermi-level density of states	2.04	states/eV/f.u.
size of the total moment	0.00	μB/f.u.

Model x:
First-principles (GGA-PBE) data for a relaxed CeAsN crystal, as listed in the Alexandria database.

a b c (Å): 4.0642 3.9265 7.4553
angles (deg): 90.00 92.81 90.00
Fractional coordinates of all 6 atoms:
Ce  0.2394  0.2500  0.3510
Ce  0.7606  0.7500  0.6490
As  0.3220  0.2500  0.9441
As  0.6780  0.7500  0.0559
N  0.2505  0.7500  0.5062
N  0.7495  0.2500  0.4938

Values from the calculation:
size of the total moment	0.00	μB/f.u.

Tell me which of them is the most stable. Sure, it is model x.

Model w:
First-principles (GGA-PBE) data for a relaxed NaCeAs2 crystal, as listed in the Alexandria database.

a b c (Å): 6.8030 6.8030 6.8030
angles (deg): 37.46 37.46 37.46
Fractional coordinates of all 4 atoms:
Na  0.0000  0.0000  0.0000
Ce  0.1769  0.1769  0.1769
As  0.5895  0.5895  0.5895
As  0.7609  0.7609  0.7609

Values from the calculation:
Fermi-level density of states	3.48	states/eV/f.u.
size of the total moment	0.00	μB/f.u.

Model x:
First-principles (GGA-PBE) data for a relaxed NaCeAs2 crystal, as listed in the Alexandria database.

a b c (Å): 6.7573 6.7573 6.7573
angles (deg): 38.22 38.22 38.22
Fractional coordinates of all 4 atoms:
Na  0.0000  0.0000  0.0000
Ce  0.5000  0.5000  0.5000
As  0.2406  0.2406  0.2406
As  0.7594  0.7594  0.7594

Values from the calculation:
Fermi-level density of states	5.30	states/eV/f.u.
size of the total moment	0.00	μB/f.u.

Tell me which of them is the most stable. Sure, it is model x.

Model w:
First-principles (GGA-PBE) data for a relaxed CeNdAs2 crystal, as listed in the Alexandria database.

a b c (Å): 4.2267 4.2267 13.9226
angles (deg): 90.00 90.00 120.00
Fractional coordinates of all 8 atoms: